Work out how many lines below have the word "wB97M-V" in them; a number is enough.

- - -
33
Properties=species:S:1:pos:R:3:forces:R:3 method="wB97M-V/def2-TZVPD" charge=+2 e_above_lowest_ev=0.286 total_energy_ev=-17707.7330
C 1.822 1.362 -0.933 -0.6320 0.4807 0.2453
C 0.658 0.663 -1.636 0.3202 0.1503 -0.5841
C -0.168 -0.247 -0.785 -0.1593 0.0272 0.1322
C -0.571 -1.419 -1.237 -0.3267 0.2413 -0.6381
N -1.649 -2.220 -0.633 0.5804 0.5533 0.5308
N 1.464 2.827 -0.643 0.9230 -0.4056 -0.9026
H 2.015 0.923 0.033 0.2828 -0.1867 0.2123
H 2.730 1.369 -1.521 -0.0138 -0.0721 -0.0921
H 0.026 1.397 -2.146 -0.3336 0.1639 0.4960
H 1.024 0.138 -2.508 0.4456 -0.5023 0.0372
H -0.468 0.108 0.196 -0.0847 -0.0354 0.0606
H -0.330 -1.771 -2.230 0.1666 -0.0603 0.0214
H -1.726 -2.118 0.394 0.0010 -0.0516 -0.0087
H -2.530 -1.886 -1.025 -0.2172 -0.4388 -0.0533
H -1.491 -3.207 -0.816 -0.2894 -0.1836 -0.0424
H 0.984 3.201 -1.461 -0.7963 0.0301 0.4109
H 0.973 2.960 0.241 -0.5611 0.0211 -0.1270
H 2.305 3.385 -0.642 0.6345 0.1429 0.4944
H -3.557 -2.554 2.016 -0.3889 0.2839 0.2156
H -3.886 -0.997 1.957 -0.2918 -0.3691 0.1904
O -3.234 -1.679 1.772 0.7393 0.0533 -0.4622
H 3.014 -1.880 -1.584 0.2549 0.0083 -0.0647
H 4.307 -1.114 -1.919 -0.0837 -0.1098 -0.0243
O 3.353 -1.010 -1.826 -0.1725 0.0746 0.1126
H 1.766 2.378 2.990 -0.0022 -0.0156 -0.2959
H 0.398 2.032 3.432 -0.2988 -0.0183 -0.2316
O 0.901 2.150 2.615 0.3594 0.0778 0.3143
H -1.052 -2.695 2.657 0.0264 -0.1344 0.1378
H -0.406 -4.060 2.324 -0.0430 0.0868 0.0016
O -0.882 -3.314 1.938 -0.0379 0.1109 -0.1858
H -1.583 3.786 0.115 -0.3172 -0.1916 0.2877
H -1.586 2.295 0.630 -0.2419 0.4906 0.1723
O -1.345 2.876 -0.098 0.5581 -0.2219 -0.3603


36
Properties=species:S:1:pos:R:3:forces:R:3 method="wB97M-V/def2-TZVPD" spin_multiplicity=5 charge=0 s2=6.0394 total_energy_ev=-62088.7531
C -0.240 -2.175 -3.423 2.9205 -0.6008 -0.7065
C 1.144 -2.548 -3.578 -2.2240 1.9650 0.3303
C 1.435 -3.442 -2.508 -0.3577 -1.3953 -0.9533
C 0.219 -3.947 -1.962 -1.3270 1.8915 0.2977
C -0.816 -3.055 -2.408 1.5631 -1.7025 0.8131
Co -0.920 0.724 -0.668 -1.7356 0.5782 -2.4402
P -2.209 1.530 -2.194 0.1535 0.4232 -0.3665
H -0.760 -1.369 -3.943 0.1795 -0.4309 0.0863
H 1.882 -2.127 -4.273 -0.5230 -0.0468 0.4969
H 2.433 -3.807 -2.259 -0.3441 0.1272 -0.0463
H -1.845 -2.999 -2.054 0.3313 -0.1894 -0.1359
H 0.166 -4.742 -1.221 -0.1977 0.4257 -0.1322
H -3.620 1.227 -2.285 0.5461 0.3519 -0.3670
H -1.704 1.148 -3.485 -0.6810 0.2114 0.3990
H -2.208 2.957 -2.368 -0.3171 -0.6365 -0.1464
C 2.391 -0.387 1.834 -0.3669 0.5842 0.0480
N 1.310 0.562 2.097 3.8632 0.5320 2.9856
C 1.423 1.473 3.243 -0.0185 -0.6611 -0.7466
C 0.308 0.561 1.251 -2.5648 -0.3726 -0.0082
N 0.183 -0.326 0.255 1.1362 -1.5676 -0.3583
N -0.747 1.518 1.257 0.2920 0.0393 -0.2716
C -0.489 2.972 1.270 -0.0911 -0.3452 -0.1306
C -2.061 1.093 1.797 0.2468 0.4186 0.2790
H 3.188 -0.216 2.557 -0.0204 -0.0741 -0.1411
H 2.777 -0.242 0.811 0.0048 -0.1859 0.3960
H 2.019 -1.417 1.942 0.1767 -0.0108 -0.0522
H 1.729 2.481 2.939 -0.1929 0.0196 0.1357
H 0.479 1.504 3.798 0.0138 0.1627 -0.0257
H 2.194 1.085 3.909 -0.0965 0.0072 0.0105
H 0.836 -1.096 0.112 -0.3984 0.5827 0.3318
H -1.194 3.439 0.577 0.0716 0.1557 0.0943
H -0.652 3.399 2.264 0.1911 0.0394 0.0401
H 0.529 3.188 0.914 -0.3627 -0.1965 0.1874
H -2.704 1.986 1.821 -0.0123 -0.3802 -0.1177
H -2.525 0.314 1.152 0.2694 0.3439 0.4727
H -1.950 0.732 2.830 -0.1281 -0.0632 -0.2583


116
Properties=species:S:1:pos:R:3:forces:R:3 method="wB97M-V/def2-TZVPD" charge=+2 e_above_lowest_ev=0.046 total_energy_ev=-130150.6783
Ta -0.914 0.320 0.488 0.1713 -1.3465 -0.0198
C -1.168 -0.393 -3.694 0.0823 0.0345 0.0172
C -2.205 -1.184 -2.910 -0.1234 -0.0449 0.0042
C -2.757 -2.304 -3.794 0.0050 -0.0288 0.0505
P -1.498 -1.728 -1.280 0.0458 0.1282 -0.1815
C -2.725 -2.993 -0.724 -0.0583 -0.0385 -0.1112
C -2.252 -3.947 0.366 0.0546 0.0327 0.0139
C -4.104 -2.393 -0.448 0.0296 0.0460 0.0083
C -0.040 -2.634 -1.852 -0.0262 0.0151 0.0495
C -0.118 -3.912 -2.407 0.0133 0.0656 0.0089
C 1.014 -4.500 -2.946 0.0171 0.0094 0.0007
C 2.218 -3.809 -2.941 -0.0156 -0.0533 -0.0312
- - -

3